_Brief_
Type out the contents further down with every line break kept, please.

_Data_
........
Record 1
{
  "formula": "C5H11AsCl8F6OY",
  "method": "the ωB97M-V functional and the def2-TZVPD basis",
  "elements": ["Y", "As", "Cl", "Cl", "Cl", "Cl", "Cl", "Cl", "Cl", "Cl", "F", "F", "F", "F", "F", "F", "O", "C", "C", "C", "C", "C", "H", "H", "H", "H", "H", "H", "H", "H", "H", "H", "H"],
  "coordinates": [[-0.188, 4.633, -1.909], [-0.827, 1.006, -6.074], [2.907, 3.400, 7.361], [-0.395, -5.279, -0.189], [3.982, 2.669, 4.762], [-3.328, -5.441, -0.403], [5.064, -1.378, -1.479], [-5.862, 0.857, 3.819], [-5.837, -1.934, 4.842], [4.878, 1.530, -2.395], [0.755, 0.181, -6.307], [-1.452, 0.297, -7.579], [-0.272, 1.719, -4.525], [-1.558, -0.350, -5.145], [-0.138, 2.466, -6.899], [-2.394, 1.935, -5.830], [0.192, 1.623, 0.588], [-1.792, -4.947, -1.235], [-4.911, -0.617, 4.032], [5.271, 0.355, -1.095], [2.679, 2.424, 5.931], [0.038, 0.338, 1.118], [0.745, -0.300, 0.588], [-1.865, -3.867, -1.356], [2.594, 1.383, 6.244], [-0.963, -0.068, 0.973], [-1.672, -5.408, -2.215], [4.622, 0.560, -0.243], [1.704, 2.640, 5.494], [-4.538, -0.969, 3.070], [0.342, 0.304, 2.164], [-4.069, -0.309, 4.651], [6.289, 0.548, -0.759]],
  "de_lowest_kcal_mol": 209.2,
  "orbital_gap_ha": 0.0940,
  "lumo_energy_ev": -10.0,
  "total_charge": 1,
  "homo_energy_ha": -0.4632
}



Record 2
{
  "formula": "C5H11BF4NO2P",
  "method": "the ωB97M-V functional and the def2-TZVPD basis",
  "elements": ["P", "F", "F", "F", "F", "O", "O", "N", "C", "C", "C", "C", "C", "B", "H", "H", "H", "H", "H", "H", "H", "H", "H", "H", "H"],
  "coordinates": [[-0.247, 0.185, 0.423], [0.866, 1.328, 2.733], [-0.607, -0.816, -2.170], [0.920, -0.930, 2.703], [-1.074, 0.265, 3.120], [2.009, -1.246, -0.813], [-3.397, -0.053, 0.159], [2.739, 0.804, 0.415], [0.119, 0.183, 2.339], [-2.850, -1.150, 0.317], [-1.299, -1.382, 0.571], [-0.673, 0.423, -1.438], [0.308, 1.489, -2.155], [1.637, -0.106, -0.008], [3.202, 1.231, -0.404], [1.146, 0.968, -2.729], [-0.747, 1.534, 0.621], [-0.899, -2.234, -0.081], [-1.729, 0.841, -1.596], [-0.303, 2.036, -2.956], [-3.527, -2.079, 0.329], [3.419, 0.237, 0.942], [0.677, 2.296, -1.447], [1.527, -2.042, -0.518], [-1.220, -1.783, 1.645]],
  "orbital_gap_ha": 0.3470,
  "smiles": "C[C@@H](F)[PH](CC=O)(B(N)O)C(F)(F)F",
  "lumo_energy_ev": 0.3,
  "homo_energy_ha": -0.3345
}



Record 3
{
  "formula": "C5H11BN2O2",
  "method": "the ωB97M-V functional and the def2-TZVPD basis",
  "elements": ["O", "O", "N", "N", "C", "C", "C", "C", "C", "B", "H", "H", "H", "H", "H", "H", "H", "H", "H", "H", "H"],
  "coordinates": [[-2.919, -1.218, 0.201], [-2.825, 1.101, 0.022], [1.582, 0.734, 0.054], [0.269, 0.777, -0.001], [3.678, -0.271, 0.135], [-0.302, -1.631, -0.246], [2.283, -0.368, 0.268], [-0.668, -0.187, 0.091], [-0.194, 2.088, -0.182], [-2.136, -0.104, 0.095], [-3.799, -1.178, 0.036], [4.306, 0.540, -0.080], [2.072, -1.368, 0.526], [0.202, -2.098, 0.725], [0.282, -1.792, -1.132], [-0.740, 2.176, -1.162], [-0.929, 2.374, 0.568], [-1.267, -2.134, -0.327], [0.818, 2.673, -0.122], [4.112, -1.260, 0.465], [-3.825, 1.148, 0.066]],
  "de_lowest_kcal_mol": 88.5,
  "orbital_gap_ha": [0.2669, 0.2598],
  "lumo_energy_ev": [0.0, 0.0],
  "homo_energy_ha": [-0.2678, -0.2604]
}



Record 4
{
  "formula": "C5H11BO5S",
  "method": "the ωB97M-V functional and the def2-TZVPD basis",
  "elements": ["S", "O", "O", "O", "O", "O", "C", "C", "C", "C", "C", "B", "H", "H", "H", "H", "H", "H", "H", "H", "H", "H", "H"],
  "coordinates": [[0.007, -1.158, -1.510], [2.179, -1.790, 1.320], [3.092, 0.319, 1.968], [1.420, -1.465, -1.820], [-0.358, -1.575, 0.031], [-0.886, -1.961, -2.382], [0.636, 0.397, 1.211], [-1.777, 0.458, 0.441], [-1.754, 0.893, -1.055], [-0.617, -0.467, 0.894], [-0.441, 0.580, -1.826], [1.989, -0.415, 1.482], [0.399, 1.237, -1.586], [2.884, 1.243, 1.855], [0.789, 1.186, 0.457], [-1.694, 1.369, 1.049], [-0.640, 0.634, -2.898], [-0.935, -0.908, 1.846], [2.568, -1.889, 0.450], [-2.763, 0.044, 0.684], [-2.553, 0.357, -1.582], [-1.947, 1.965, -1.169], [0.404, 0.947, 2.140]],
........

_Result_
Record 1
{
  "formula": "C5H11AsCl8F6OY",
  "method": "the ωB97M-V functional and the def2-TZVPD basis",
  "elements": ["Y", "As", "Cl", "Cl", "Cl", "Cl", "Cl", "Cl", "Cl", "Cl", "F", "F", "F", "F", "F", "F", "O", "C", "C", "C", "C", "C", "H", "H", "H", "H", "H", "H", "H", "H", "H", "H", "H"],
  "coordinates": [[-0.188, 4.633, -1.909], [-0.827, 1.006, -6.074], [2.907, 3.400, 7.361], [-0.395, -5.279, -0.189], [3.982, 2.669, 4.762], [-3.328, -5.441, -0.403], [5.064, -1.378, -1.479], [-5.862, 0.857, 3.819], [-5.837, -1.934, 4.842], [4.878, 1.530, -2.395], [0.755, 0.181, -6.307], [-1.452, 0.297, -7.579], [-0.272, 1.719, -4.525], [-1.558, -0.350, -5.145], [-0.138, 2.466, -6.899], [-2.394, 1.935, -5.830], [0.192, 1.623, 0.588], [-1.792, -4.947, -1.235], [-4.911, -0.617, 4.032], [5.271, 0.355, -1.095], [2.679, 2.424, 5.931], [0.038, 0.338, 1.118], [0.745, -0.300, 0.588], [-1.865, -3.867, -1.356], [2.594, 1.383, 6.244], [-0.963, -0.068, 0.973], [-1.672, -5.408, -2.215], [4.622, 0.560, -0.243], [1.704, 2.640, 5.494], [-4.538, -0.969, 3.070], [0.342, 0.304, 2.164], [-4.069, -0.309, 4.651], [6.289, 0.548, -0.759]],
  "de_lowest_kcal_mol": 209.2,
  "orbital_gap_ha": 0.0940,
  "lumo_energy_ev": -10.0,
  "total_charge": 1,
  "homo_energy_ha": -0.4632
}



Record 2
{
  "formula": "C5H11BF4NO2P",
  "method": "the ωB97M-V functional and the def2-TZVPD basis",
  "elements": ["P", "F", "F", "F", "F", "O", "O", "N", "C", "C", "C", "C", "C", "B", "H", "H", "H", "H", "H", "H", "H", "H", "H", "H", "H"],
  "coordinates": [[-0.247, 0.185, 0.423], [0.866, 1.328, 2.733], [-0.607, -0.816, -2.170], [0.920, -0.930, 2.703], [-1.074, 0.265, 3.120], [2.009, -1.246, -0.813], [-3.397, -0.053, 0.159], [2.739, 0.804, 0.415], [0.119, 0.183, 2.339], [-2.850, -1.150, 0.317], [-1.299, -1.382, 0.571], [-0.673, 0.423, -1.438], [0.308, 1.489, -2.155], [1.637, -0.106, -0.008], [3.202, 1.231, -0.404], [1.146, 0.968, -2.729], [-0.747, 1.534, 0.621], [-0.899, -2.234, -0.081], [-1.729, 0.841, -1.596], [-0.303, 2.036, -2.956], [-3.527, -2.079, 0.329], [3.419, 0.237, 0.942], [0.677, 2.296, -1.447], [1.527, -2.042, -0.518], [-1.220, -1.783, 1.645]],
  "orbital_gap_ha": 0.3470,
  "smiles": "C[C@@H](F)[PH](CC=O)(B(N)O)C(F)(F)F",
  "lumo_energy_ev": 0.3,
  "homo_energy_ha": -0.3345
}



Record 3
{
  "formula": "C5H11BN2O2",
  "method": "the ωB97M-V functional and the def2-TZVPD basis",
  "elements": ["O", "O", "N", "N", "C", "C", "C", "C", "C", "B", "H", "H", "H", "H", "H", "H", "H", "H", "H", "H", "H"],
  "coordinates": [[-2.919, -1.218, 0.201], [-2.825, 1.101, 0.022], [1.582, 0.734, 0.054], [0.269, 0.777, -0.001], [3.678, -0.271, 0.135], [-0.302, -1.631, -0.246], [2.283, -0.368, 0.268], [-0.668, -0.187, 0.091], [-0.194, 2.088, -0.182], [-2.136, -0.104, 0.095], [-3.799, -1.178, 0.036], [4.306, 0.540, -0.080], [2.072, -1.368, 0.526], [0.202, -2.098, 0.725], [0.282, -1.792, -1.132], [-0.740, 2.176, -1.162], [-0.929, 2.374, 0.568], [-1.267, -2.134, -0.327], [0.818, 2.673, -0.122], [4.112, -1.260, 0.465], [-3.825, 1.148, 0.066]],
  "de_lowest_kcal_mol": 88.5,
  "orbital_gap_ha": [0.2669, 0.2598],
  "lumo_energy_ev": [0.0, 0.0],
  "homo_energy_ha": [-0.2678, -0.2604]
}



Record 4
{
  "formula": "C5H11BO5S",
  "method": "the ωB97M-V functional and the def2-TZVPD basis",
  "elements": ["S", "O", "O", "O", "O", "O", "C", "C", "C", "C", "C", "B", "H", "H", "H", "H", "H", "H", "H", "H", "H", "H", "H"],
  "coordinates": [[0.007, -1.158, -1.510], [2.179, -1.790, 1.320], [3.092, 0.319, 1.968], [1.420, -1.465, -1.820], [-0.358, -1.575, 0.031], [-0.886, -1.961, -2.382], [0.636, 0.397, 1.211], [-1.777, 0.458, 0.441], [-1.754, 0.893, -1.055], [-0.617, -0.467, 0.894], [-0.441, 0.580, -1.826], [1.989, -0.415, 1.482], [0.399, 1.237, -1.586], [2.884, 1.243, 1.855], [0.789, 1.186, 0.457], [-1.694, 1.369, 1.049], [-0.640, 0.634, -2.898], [-0.935, -0.908, 1.846], [2.568, -1.889, 0.450], [-2.763, 0.044, 0.684], [-2.553, 0.357, -1.582], [-1.947, 1.965, -1.169], [0.404, 0.947, 2.140]],